_Listing_
********
Entry 1:
Computed powder diffractogram of Na3FeH7 for Cu Kα (weighted mean of Kα1 and Kα2), from a PBE-relaxed structure.
Neutral-atom scattering factors, no anomalous dispersion.

Crystal structure
```
data_Na3FeH7
_space_group_name_H-M_alt 'P 42/m n m'
_space_group_IT_number 136
_space_group_name_Hall '-P 4n 2n'
_cell_length_a 9.088
_cell_length_b 9.088
_cell_length_c 4.976
_cell_angle_alpha 90.00
_cell_angle_beta 90.00
_cell_angle_gamma 90.00
loop_
_atom_site_label
_atom_site_type_symbol
_atom_site_fract_x
_atom_site_fract_y
_atom_site_fract_z
Na1 Na 0.033 0.303 0.000
Na2 Na 0.116 0.884 0.500
Fe1 Fe 0.201 0.201 0.500
H1 H 0.069 0.320 0.500
H2 H 0.108 0.108 0.303
H3 H 0.179 0.821 0.000
H4 H 0.241 0.241 0.214
```

Principal peaks in the range 10 to 90 degrees two-theta, in order of falling intensity:
d 2.588, 2θ 34.67, intensity 100, (3 0 1); d 2.488, 2θ 36.09, intensity 98, (0 0 2); d 4.544, 2θ 19.54, intensity 49, (2 0 0); d 3.935, 2θ 22.60, intensity 42, (1 1 1); d 2.521, 2θ 35.62, intensity 27, (3 2 0); d 4.064, 2θ 21.87, intensity 21, (2 1 0)


Entry 2:
Computed powder diffractogram of ErTcNO for Cu Kα (weighted mean of Kα1 and Kα2), from a PBE-relaxed structure.
Neutral-atom scattering factors, no anomalous dispersion.

Crystal structure
```
data_ErTcNO
_space_group_name_H-M_alt 'P c a 21'
_space_group_IT_number 29
_space_group_name_Hall 'P 2c -2ac'
_cell_length_a 5.445
_cell_length_b 7.755
_cell_length_c 5.132
_cell_angle_alpha 90.00
_cell_angle_beta 90.00
_cell_angle_gamma 90.00
loop_
_atom_site_label
_atom_site_type_symbol
_atom_site_fract_x
_atom_site_fract_y
_atom_site_fract_z
Er1 Er 0.018 0.143 0.000
Tc1 Tc 0.125 0.484 0.697
N1 N 0.095 0.347 0.371
O1 O 0.249 0.983 0.245
```

Principal peaks in the range 10 to 90 degrees two-theta, in order of falling intensity:
d 2.690, 2θ 33.31, intensity 100, (1 2 1); d 3.365, 2θ 26.49, intensity 87, (1 1 1); d 2.436, 2θ 36.90, intensity 39, (0 1 2); d 2.585, 2θ 34.70, intensity 35, (0 3 0); d 2.297, 2θ 39.22, intensity 26, (2 1 1); d 2.722, 2θ 32.90, intensity 19, (2 0 0)


1.
Theoretical PXRD pattern
Compound: Ca2PmCuO5
Radiation: CuKα
Structure: the PBE geometry in Alexandria
Kinematic intensities with the Lorentz-polarization factor, no thermal factor.

Main lines, in order of rising 2θ (15 to 90 degrees two-theta):
d = 5.674 Å, I 40.4; d = 3.170 Å, I 34.1; d = 2.837 Å, I 31.6; d = 2.767 Å, I 100.0; d = 2.269 Å, I 23.2; d = 2.241 Å, I 34.1; d = 2.114 Å, I 37.3; d = 2.085 Å, I 26.2; d = 1.759 Å, I 27.2; d = 1.624 Å, I 23.2

```
Ca2PmCuO5
1.0
-3.170 3.170 5.674
3.170 -3.170 5.674
3.170 3.170 -5.674
Ca Pm Cu O
4 2 2 10
direct
0.167 0.667 0.834
0.333 0.167 0.500
0.667 0.833 0.500
0.833 0.333 0.166
0.250 0.250 0.000
0.750 0.750 0.000
0.250 0.750 0.500
0.750 0.250 0.500
0.000 0.000 0.000
0.015 0.200 0.500
0.200 0.700 0.185
0.300 0.485 0.500
0.485 0.985 0.185
0.500 0.500 0.000
0.515 0.015 0.815
0.700 0.515 0.500
0.800 0.300 0.815
0.985 0.800 0.500
```

2.
Theoretical PXRD pattern
Compound: NaAg6Sb4
Radiation: CuKα
Structure: the PBE geometry in Alexandria
Kinematic intensities with the Lorentz-polarization factor, no thermal factor.

Main lines, in order of rising 2θ (15 to 90 degrees two-theta):
d = 5.884 Å, I 60.6; d = 3.673 Å, I 30.3; d = 3.475 Å, I 50.2; d = 2.942 Å, I 44.2; d = 2.457 Å, I 68.1; d = 2.410 Å, I 46.7; d = 2.267 Å, I 34.3; d = 2.164 Å, I 100.0; d = 2.042 Å, I 60.0; d = 1.323 Å, I 31.6

```
NaAg6Sb4
1.0
-3.475 3.475 5.531
3.475 -3.475 5.531
3.475 3.475 -5.531
Na Ag Sb
1 6 4
direct
0.000 0.000 0.000
0.000 0.500 0.500
0.222 0.222 0.671
0.449 0.778 0.000
0.500 0.000 0.500
0.551 0.551 0.329
0.778 0.449 0.000
0.118 0.583 0.000
0.417 0.417 0.536
0.583 0.118 0.000
0.882 0.882 0.464
```
********
_Wanted_
The reader should count the lines further above that contain the word "ErTcNO" and give the number alone.
_Written answer_
1